In Water Saving Week, Minister for Climate Change Julie James is appealing to everyone in Wales to be conscious of their water use as we approach summer.

In a statement to the Senedd today, the Minister confirmed that Wales’ Drought Liaison Group – consisting of water companies, Natural Resources Wales, the Met Office and other partners- has officially started meeting to plan ahead for all weather scenarios.
A particularly dry February this year was followed by the wettest March in forty years, with Wales experiencing double the long-term average rainfall. This has been good news for reservoirs, rivers and groundwater supply as stocks under pressure have been replenished.
Unfortunately- the group says- this doesn’t mean Wales can rest on its laurels. Weather is difficult to predict and climate change means that we face wetter winters, drier summers, rising sea levels, and more frequent and intense extreme weather events.
Between March and September 2022, Wales received just 64% of the long-term average rainfall for this period, making it the driest seven-month period in 150 years. This placed significant pressures on water infrastructure and supply, wildlife and habitats, and the agriculture sector, leading to a declaration of drought. Back-to-back years of continuous droughts will decrease resilience year on year leading to ever worsening situations.
• Unrelated to this text: data records:
Density functional theory data (ωB97M-V/def2-TZVPD) for one molecule with the formula C4H6S in a non-equilibrium geometry.

Geometry as ORCA input:
```
! RIJCOSX wB97M-V def2-TZVPD def2/J DEFGRID3
* xyz 0 3
C -0.003 0.435 -0.320
C -1.294 0.057 -0.087
C 1.349 -0.338 -0.153
C -2.598 -0.097 -0.083
S 3.248 0.024 -0.035
H 0.013 1.484 -0.087
H 1.304 -0.933 0.777
H 1.363 -1.076 -0.985
H 3.003 0.685 1.064
H -3.268 -0.174 -0.952
H -3.117 -0.068 0.863
*
```

Values from the calculation:
HOMO-LUMO gap (alpha / beta): 4.67 / 4.61 eV
LUMO energy (alpha / beta): 0.5 / -3.8 eV
ΔE to the lowest compared entry with this formula, charge and spin: 303.8 kJ/mol


Density functional theory data (ωB97M-V/def2-TZVPD) for a 2-piece molecular cluster, C6H15S2 overall in a non-equilibrium geometry.

Geometry as ORCA input:
```
! RIJCOSX wB97M-V def2-TZVPD def2/J DEFGRID3
* xyz -1 1
C -1.504 -0.449 2.160
C 0.004 -0.571 2.062
C 0.728 0.757 2.297
S 0.375 2.043 1.022
H -1.789 -0.162 3.179
H -2.041 -1.361 1.890
H -1.817 0.359 1.496
H 0.351 -1.374 2.728
H 0.277 -0.855 1.039
H 1.810 0.596 2.311
H 0.465 1.152 3.286
C 1.998 -0.951 -2.073
C 0.872 0.090 -1.949
S -0.717 -0.754 -2.052
C -1.801 0.721 -1.860
H 2.929 -0.457 -1.784
H 2.096 -1.291 -3.106
H 1.842 -1.810 -1.421
H 0.990 0.824 -2.751
H 0.948 0.611 -0.974
H -1.578 1.168 -0.891
H -1.626 1.403 -2.689
H -2.811 0.313 -1.920
*
```

Values from the calculation:
HOMO-LUMO gap: 5.83 eV
LUMO energy: 3.3 eV
ΔE to the lowest compared entry with this formula, charge and spin: 0.0 kJ/mol


Density functional theory data (ωB97M-V/def2-TZVPD) for a 2-piece molecular cluster, C38H57NO8 overall in a non-equilibrium geometry.

Geometry as ORCA input:
```
! RIJCOSX wB97M-V def2-TZVPD def2/J DEFGRID3
* xyz 0 1
C 5.954 1.870 0.482
C 6.363 0.980 1.825
C 5.873 -0.584 1.757
C 6.710 -1.367 0.574
C 5.842 -2.577 -0.159
C 5.384 -2.136 -1.671
C 3.734 -2.053 -1.831
C 3.076 -1.203 -0.593
C 1.612 -0.536 -0.904
C 0.758 -1.253 -2.105
C 0.427 -2.841 -1.876
C -1.027 -3.113 -1.096
O -1.063 -2.632 0.178
O -2.108 -3.865 -1.743
C -3.048 -3.014 -2.478
C -3.251 -1.502 -1.882
C -4.662 -0.924 -2.498
C -4.785 0.714 -2.434
C -3.507 1.508 -3.096
C -3.879 3.075 -3.433
C -3.493 4.088 -2.192
C -3.912 3.538 -0.705
C -3.761 4.788 0.386
C -2.647 4.461 1.577
C -2.675 -3.046 -4.107
C -1.523 -1.975 -4.548
O -1.740 -1.713 -6.011
C -1.098 -0.443 -6.406
O -0.256 -0.301 -7.461
O -4.403 -3.657 -2.416
C -4.590 -4.349 -1.152
O -4.393 -5.700 -0.960
C -5.172 -3.576 0.214
C -6.776 -3.117 0.101
C -7.578 -2.467 1.383
C -6.738 -2.237 2.791
C -5.116 -2.609 2.852
C -4.296 -3.304 1.571
H 6.720 1.692 -0.415
H 4.855 1.637 0.147
H 6.034 3.030 0.744
H 5.864 1.519 2.740
H 7.544 1.036 1.971
H 4.693 -0.710 1.635
H 6.131 -1.067 2.811
H 7.190 -0.637 -0.224
H 7.627 -1.910 1.101
H 4.972 -2.963 0.529
H 6.585 -3.503 -0.283
H 5.814 -2.913 -2.461
H 5.794 -1.064 -1.931
H 3.329 -3.176 -1.865
H 3.543 -1.574 -2.894
H 2.956 -1.956 0.315
H 3.815 -0.319 -0.344
H 0.912 -0.543 0.061
H 1.816 0.592 -1.229
• The data records stop here:
Minister for Climate Change Julie James said:
“This week is Water Saving Week, and I am encouraging everyone in Wales to be water aware. Please think about your current water use and any ways in which you can help save water.
“Making small adjustments can make a big difference. Reducing shower time by a minute, turning the tap off when you brush your teeth and not letting the tap run when you wash your dishes, are great starts.
“If we use less, we will reduce the energy used for water supply and wastewater treatment, which will help reduce our carbon footprint and make us more resilient to climate change.
“Thanks to the wettest March in forty years, the drought status in Wales is normal. However, as we have seen all too often in the past, the vagaries of the weather and climate impacts mean that conditions can change rapidly.”
Waterwise’s website provides details on how to get involved in Water Saving Week and how to use water wisely. Wales’ water companies, Dŵr Cymru Welsh Water (DCWW) and Hafren Dyfrdwy (HD), offer advice to customers on their websites and will be running campaigns to share top tips in how to save water.